It took about five minutes after President Obama made his historic announcement of support for gay marriage for the snark to begin. Some people pointed out that he’d simply reverted to the position he held in 1996, when, in response to a questionnaire from a gay newspaper in Chicago, he wrote, “I favor legalizing same-sex marriage, and would fight efforts to prohibit such marriages.” Others noted that he still believes the matter should be left to the states, suggesting acquiescence to North Carolina’s egregious Amendment 1 and other gay-marriage bans. The Log Cabin Republicans, straining to minimize the importance of the president’s statement, attacked him for only belatedly coming “in line with leaders like Vice President Dick Cheney on this issue.”
None of this should obscure the fact that when Obama told ABC News, “I think same-sex couples should be able to get married,” it was, to quote Joe Biden, “a big fucking deal.”
Our last Democratic president, Bill Clinton, signed the antigay Defense of Marriage Act (DOMA), saying then, “I have long opposed governmental recognition of same-gender marriages, and this legislation is consistent with that position.” Eight years ago, George W. Bush’s vehement opposition to gay marriage helped carry him to reelection against liberal John Kerry. If Obama’s pro-gay-rights supporters tolerated his nominal opposition to equal marriage rights, it was largely because, until very recently, many assumed that any candidate with a different position would be unelectable on a national scale. It’s hard to think of any other civil-rights issue where so much progress was made so fast.
To criticize Obama for following that progress rather than leading it is to misunderstand the nature of political change. No president forces major social advancements by himself. FDR understood that when he responded to entreaties from the labor leader A. Philip Randolph by agreeing and then saying, “Now go out and make me do it.” Lyndon Johnson didn’t pass the 1964 Civil Rights Act until the civil-rights movement changed public opinion and the shock of John F. Kennedy’s assassination altered political dynamics. Presidents have to balance strategic political concerns with moral ones. They can encourage and ratify progress, but they can’t create it.
The fact that Obama’s gay-marriage evolution was motivated as much by practical concerns as by idealism doesn’t make it any less remarkable. Rather, it’s a sign of how successful the gay rights movement has been in organizing and demonstrating the justice of its cause, turning what was once a wedge issue for the right into a potential wedge issue for the left. It’s also a sign of how much progress on gay rights had already been made during Obama’s presidency. Gay marriage wouldn’t have been thrown into such sharp focus if he hadn’t already ended "don’t ask, don’t tell" and refused to enforce DOMA. It made sense for Obama to end the charade of opposing gay marriage because nobody on either side believed his position was sincere. If the rest of his record hadn’t been so pro-gay, though, they might have.
# Crystal structures, as found in the file
- - -
Li4Mn3O3F9 | PBE+U | optimized geometry

Values from the calculation:
final energy: -105.5 eV/f.u.
total magnetic moment: 0.526 μB per atom

CIF file:
```
data_Li4Mn3O3F9
_chemical_formula_sum 'Li4 Mn3 O3 F9'
_space_group_name_H-M_alt 'P 1'
_space_group_IT_number 1
_cell_length_a 5.598
_cell_length_b 5.888
_cell_length_c 6.291
_cell_angle_alpha 98.73
_cell_angle_beta 99.27
_cell_angle_gamma 96.73
loop_
_space_group_symop_operation_xyz
'x,y,z'
loop_
_atom_site_label
_atom_site_type_symbol
_atom_site_fract_x
_atom_site_fract_y
_atom_site_fract_z
Li1 Li 0.000 0.000 0.000
Li2 Li 0.181 0.279 0.576
Li3 Li 0.458 0.975 0.749
Li4 Li 0.701 0.465 0.797
Mn1 Mn 0.301 0.609 0.131
Mn2 Mn 0.657 0.230 0.277
Mn3 Mn 0.895 0.761 0.457
O1 O 0.200 0.711 0.384
O2 O 0.630 0.561 0.247
O3 O 0.875 0.014 0.321
F1 F 0.113 0.988 0.709
F2 F 0.213 0.301 0.158
F3 F 0.372 0.493 0.846
F4 F 0.398 0.911 0.088
F5 F 0.500 0.204 0.529
F6 F 0.675 0.786 0.658
F7 F 0.718 0.195 0.973
F8 F 0.916 0.454 0.558
F9 F 0.991 0.649 0.985
```

=====

No. 1
# DyTmGa

A relaxed DyTmGa crystal (GGA-PBE, the Alexandria database). Values from VASP.

Quantum ESPRESSO input file:
```
&SYSTEM
  ibrav = 0, nat = 6, ntyp = 3
/
ATOMIC_SPECIES
Dy 162.50 Dy.upf
Tm 168.93 Tm.upf
Ga 69.72 Ga.upf
CELL_PARAMETERS angstrom
3.4405 0.0000 0.0000
0.0000 3.4405 0.0000
0.0000 0.0000 12.9632
ATOMIC_POSITIONS angstrom
Dy 0.0000 0.0000 0.0000
Dy 1.7202 1.7202 6.4816
Tm 0.0000 0.0000 3.7935
Tm 1.7202 1.7202 10.2751
Ga 0.0000 0.0000 8.4089
Ga 1.7202 1.7202 1.9273
```

## Properties
The calculation puts the calculated total energy at -0.32449 Ry/atom. For the energy above the most stable polymorph in this dataset, the calculation gives 0.0139 eV/atom. The calculation puts the formation enthalpy at 0 K at -0.381 eV per atom. The value obtained for the size of the total moment is 0.0 μB/f.u. Its space-group type is No. 107.

No. 2
# Dy6Tm2Ga

A relaxed Dy6Tm2Ga crystal (GGA-PBE, the Alexandria database). Values from VASP.

Quantum ESPRESSO input file:
```
&SYSTEM
  ibrav = 0, nat = 9, ntyp = 3
/
ATOMIC_SPECIES
Dy 162.50 Dy.upf
Tm 168.93 Tm.upf
Ga 69.72 Ga.upf
CELL_PARAMETERS angstrom
8.5278 -4.5701 0.0000
8.5278 4.5701 0.0000
-0.0050 0.0000 3.5060
ATOMIC_POSITIONS angstrom
Dy 5.7594 1.5780 1.7553
Dy 8.5278 2.6210 0.0000
Dy 11.2910 1.5780 1.7507
Dy 5.7594 -1.5780 1.7553
Dy 8.5278 -2.6210 0.0000
Dy 11.2910 -1.5780 1.7507
Tm 3.0491 0.0000 3.5031
Tm 14.0013 0.0000 0.0028
Ga 8.5252 0.0000 1.7530
```

## Properties
The calculation puts the calculated total energy at -0.32181 Ry/atom. The calculation puts the formation enthalpy at 0 K at 0.020 eV per atom. The value obtained for the size of the total moment is 0.0 μB/f.u. Its space-group type is No. 12.

No. 3
# Dy3TmGa8

A relaxed Dy3TmGa8 crystal (GGA-PBE, the Alexandria database). Values from VASP.

Quantum ESPRESSO input file:
```
&SYSTEM
  ibrav = 0, nat = 12, ntyp = 3
/
ATOMIC_SPECIES
Dy 162.50 Dy.upf
Tm 168.93 Tm.upf
Ga 69.72 Ga.upf
CELL_PARAMETERS angstrom
2.7364 1.5799 9.0614
- - -
# The crystal structures stop here
While certainly politically calculated, Obama’s announcement is not without risk. After all, North Carolina, a state the president hopes to win in November, just voted overwhelmingly to strip gay unions of any recognition whatsoever. A majority of Democrats and a smaller majority of independents are on Obama’s side, but he has just energized social conservatives in a way that Mitt Romney alone never could. His move required a bit of audacity as well as practicality.
Still, it will probably help him much more than it hurts him, by thrilling many of his supporters, throwing Romney’s reaction into higher relief, and ending the painful linguistic contortions necessary to justify his previous untenable position. That should take nothing away from his statement’s importance. Real change happens when social movements convince leaders that doing the right thing needn’t conflict with doing the smart thing. Today, Obama did both.